After captivating audiences in Los Angeles, Luna Luna: Forgotten Fantasy, the world’s first art amusement park, is set to make a grand return to the limelight. Opening at The Shed in New York City on November 20th, this enchanting spectacle promises to merge high art with carnival fun, offering a limited-time experience unlike any other.
A Carnival of Artistic Masterpieces
_Inserted here: materials data_
- - -
# 1
The following is a simulated powder X-ray diffraction pattern of Pr2Dy. It was derived from a cell relaxed with PBE, using copper Kα.
Peak positions follow from Bragg's law for the DFT cell and can differ from measured ones.

Most intense lines, 2θ = 10–90°, by intensity:
29.88°, d = 2.990 Å, intensity 100; 34.59°, d = 2.593 Å, intensity 34; 59.11°, d = 1.563 Å, intensity 29; 49.84°, d = 1.830 Å, intensity 24; 34.74°, d = 2.582 Å, intensity 17; 59.30°, d = 1.558 Å, intensity 14; 62.09°, d = 1.495 Å, intensity 12; 49.73°, d = 1.833 Å, intensity 12; 80.97°, d = 1.187 Å, intensity 12; 83.38°, d = 1.159 Å, intensity 11; 80.80°, d = 1.189 Å, intensity 6; 83.67°, d = 1.156 Å, intensity 5

```
data_Pr2Dy
_chemical_formula_sum 'Pr4 Dy2'
_symmetry_space_group_name_H-M 'I 4/m m m'
_symmetry_Int_Tables_number 139
_symmetry_space_group_name_Hall '-I 4 2'
_cell_length_a 3.667
_cell_length_b 3.667
_cell_length_c 15.494
_cell_angle_alpha 90.00
_cell_angle_beta 90.00
_cell_angle_gamma 90.00
loop_
_atom_site_label
_atom_site_type_symbol
_atom_site_fract_x
_atom_site_fract_y
_atom_site_fract_z
Pr1 Pr 0.000 0.000 0.164
Dy1 Dy 0.000 0.000 0.500
```


# 2
The following is a simulated powder X-ray diffraction pattern of Pr3Dy13. It was derived from a cell relaxed with PBE, using copper Kα.
Peak positions follow from Bragg's law for the DFT cell and can differ from measured ones.

Most intense lines, 2θ = 10–90°, by intensity:
32.44°, d = 2.760 Å, intensity 100; 31.39°, d = 2.850 Å, intensity 24; 28.29°, d = 3.155 Å, intensity 24; 56.54°, d = 1.628 Å, intensity 21; 42.76°, d = 2.115 Å, intensity 16; 60.34°, d = 1.534 Å, intensity 15; 50.12°, d = 1.820 Å, intensity 13; 60.89°, d = 1.521 Å, intensity 11; 86.77°, d = 1.122 Å, intensity 8; 60.23°, d = 1.536 Å, intensity 8; 50.00°, d = 1.824 Å, intensity 7; 61.04°, d = 1.518 Å, intensity 6

```
data_Pr3Dy13
_chemical_formula_sum 'Pr6 Dy26'
_symmetry_space_group_name_H-M 'A m m 2'
_symmetry_Int_Tables_number 38
_cell_length_a 7.297
_cell_length_b 11.401
_cell_length_c 12.600
_cell_angle_alpha 90.00
_cell_angle_beta 90.00
_cell_angle_gamma 90.00
loop_
_symmetry_equiv_pos_as_xyz
'x,y,z'
'-x,-y,z'
'-x,y,z'
'x,-y,z'
'x,y+1/2,z+1/2'
'-x,-y+1/2,z+1/2'
'-x,y+1/2,z+1/2'
'x,-y+1/2,z+1/2'
loop_
_atom_site_label
_atom_site_type_symbol
_atom_site_fract_x
_atom_site_fract_y
_atom_site_fract_z
Pr1 Pr 0.000 0.000 0.000
Pr2 Pr 0.252 0.000 0.747
Dy1 Dy 0.000 0.000 0.496
Dy2 Dy 0.000 0.249 0.165
Dy3 Dy 0.250 0.000 0.250
Dy4 Dy 0.251 0.247 0.415
Dy5 Dy 0.500 0.000 0.000
Dy6 Dy 0.500 0.000 0.496
Dy7 Dy 0.500 0.246 0.165
```


# 3
The following is a simulated powder X-ray diffraction pattern of Pr2Dy3. It was derived from a cell relaxed with PBE, using copper Kα.
Peak positions follow from Bragg's law for the DFT cell and can differ from measured ones.

Most intense lines, 2θ = 10–90°, by intensity:
- - -
Luna Luna is not just any amusement park; it is a vibrant, kaleidoscopic celebration of 20th-century art. Each attraction is a unique fusion of artistry and amusement, created by some of the most celebrated names in modern art. Imagine taking a spin on a Ferris wheel designed by Jean-Michel Basquiat, or riding a carousel brought to life by Keith Haring’s iconic imagery. The park’s Wave Swinger, crafted by Kenny Scharf, promises to whisk riders away on a whirlwind of color and motion.
Beyond the rides, Luna Luna offers a marriage of art and architecture with immersive pavilions designed by legends such as David Hockney, Salvador Dalí, and Roy Lichtenstein. André Heller’s wedding chapel, a centerpiece of the park, invites visitors to experience art in a deeply personal way, while additional works by Arik Brauer, Sonia Delaunay, and Monika Gil’sing add to the park’s eclectic charm.
A Journey Through Time and Space
The story of Luna Luna is as captivating as the park itself. Conceived by André Heller—a Viennese artist, pop singer, and cultural pioneer—Luna Luna first dazzled audiences in Hamburg, Germany, in the summer of 1987. Over 300,000 visitors flocked to experience this fusion of carnival excitement and high art.
-- Unrelated to this article: materials data --
~~~
Simulated powder diffractogram of TaFeO4 for Cu Kα X-rays, from DFT lattice parameters and positions (GGA+U).
Intensities are scaled so that the largest is 100.

a b c (Å): 10.373 10.373 10.373
angles (deg): 142.33 142.33 54.34
Element x y z (fractional)
Ta (0.000, 0.000, 0.000)
Ta (0.172, 0.172, 0.000)
Ta (0.409, 0.909, 0.500)
Ta (0.659, 0.659, 0.000)
Ta (0.750, 0.250, 0.500)
Ta (0.922, 0.422, 0.500)
Fe (0.086, 0.586, 0.500)
Fe (0.246, 0.746, 0.500)
Fe (0.336, 0.336, 0.000)
Fe (0.496, 0.496, 0.000)
Fe (0.579, 0.079, 0.500)
Fe (0.829, 0.829, 0.000)
O (0.024, 0.332, 0.692)
O (0.082, 0.274, 0.192)
O (0.082, 0.890, 0.808)
O (0.135, 0.834, 0.301)
O (0.193, 0.497, 0.696)
O (0.247, 0.051, 0.804)
O (0.247, 0.443, 0.196)
O (0.297, 0.997, 0.300)
O (0.366, 0.665, 0.701)
O (0.415, 0.215, 0.799)
O (0.415, 0.616, 0.201)
O (0.469, 0.167, 0.302)
O (0.533, 0.834, 0.699)
O (0.584, 0.385, 0.801)
O (0.584, 0.783, 0.199)
O (0.640, 0.332, 0.308)
O (0.696, 0.997, 0.700)
O (0.747, 0.547, 0.800)
O (0.747, 0.946, 0.200)
O (0.801, 0.497, 0.304)
O (0.865, 0.167, 0.698)
O (0.917, 0.115, 0.198)
O (0.917, 0.719, 0.802)
O (0.965, 0.665, 0.299)

Peak list (8 most intense, 2θ from 10° to 80°, sorted by position)
2theta	d_spacing	I/Imax
21.1	4.214	27
26.6	3.349	100
34.8	2.580	75
38.0	2.368	22
52.4	1.745	63
54.8	1.675	16
62.0	1.498	15
66.6	1.405	19
~~~
Despite its initial success, Luna Luna faced an unexpected hiatus. The park’s attractions were stored away in Texas for over three decades. The dream seemed lost until entrepreneur Michael Goldberg and the renowned musician Drake took it upon themselves to revive this artistic wonderland. After a meticulous two-year restoration process, the park’s treasures are now poised for their second world tour, starting with their highly anticipated New York City debut.
An Invitation to Experience Art Like Never Before
Luna Luna is more than just an amusement park; it is a celebration of art’s ability to transcend traditional boundaries. By combining the playful thrill of carnival rides with the profound impact of iconic art, Luna Luna invites visitors to explore creativity in a new and exhilarating way.
The limited-time event at The Shed will offer a rare chance to engage with art in a setting that is as immersive as it is whimsical. Whether you’re an art aficionado or simply in search of a unique and joyful experience, Luna Luna promises an unforgettable journey through the intersection of imagination and artistry.
Mark your calendars for November 20th and get ready to step into a world where art meets amusement in the most spectacular fashion. Luna Luna: Forgotten Fantasy awaits to enchant and inspire in the heart of New York City.